• Listing:
'''
DFT (GGA-PBEsol) results for a geometry-optimized LuSnIr structure.

Values from the calculation:
V ... 19.68 Å³/atom
Magnetization ... 0.000 μB per atom
E_tot ... -64.72 eV/cell
N(E_F) ... 0.580 states/eV per atom
Density ... 13.67 Mg/m³

Lattice parameters (Å, degrees): 7.4279 7.4279 3.7062 90.00 90.00 120.00
With the nearest neighbours (Å) after each atom.
Space group P-62m (No. 189)
Unique sites:
1 Lu 0.0000 0.5979 0.0000 [3 per cell]  5 Ir 2.93-2.99, 6 Sn 3.08-3.22
'''

• Brief:
The reader should duplicate the listing earlier on with every line break kept.

• Solution:
DFT (GGA-PBEsol) results for a geometry-optimized LuSnIr structure.

Values from the calculation:
V ... 19.68 Å³/atom
Magnetization ... 0.000 μB per atom
E_tot ... -64.72 eV/cell
N(E_F) ... 0.580 states/eV per atom
Density ... 13.67 Mg/m³

Lattice parameters (Å, degrees): 7.4279 7.4279 3.7062 90.00 90.00 120.00
With the nearest neighbours (Å) after each atom.
Space group P-62m (No. 189)
Unique sites:
1 Lu 0.0000 0.5979 0.0000 [3 per cell]  5 Ir 2.93-2.99, 6 Sn 3.08-3.22